-- Source --
........
Record 1
The following is a quantum chemistry calculation of a structure of composition C37H40BrFNNbO5P, from OMol25.

* net charge: -1
* highest occupied orbital energy: -0.1697 hartree
* E_LUMO: 0.7 eV

CARTESIAN COORDINATES (ANGSTROEM)
Nb 0.394 2.255 0.777
Br -0.431 1.476 -3.981
P 2.737 1.255 1.422
F 1.861 5.620 3.529
O 6.877 -6.510 4.051
O -2.614 3.034 1.121
O -4.790 -1.623 -4.784
O 5.156 -2.454 0.999
O -8.458 2.022 -3.351
N 2.392 -0.251 1.865
C -3.733 2.426 -4.927
C 5.293 -4.783 3.746
C 7.311 -3.981 0.031
C 4.859 -3.717 2.954
C 4.626 -5.080 4.927
C -3.184 2.323 3.356
C -5.955 2.966 -4.182
C -7.328 -2.549 -4.086
C 6.688 -4.241 1.244
C 8.843 -5.788 0.438
C -9.538 -2.010 -3.307
C -1.487 3.500 0.400
C -9.214 -0.665 -3.297
C 1.099 2.776 -1.340
C -5.303 0.666 -4.491
C 1.829 4.263 3.045
C 8.384 -4.755 -0.372
C 3.775 -2.941 3.350
C 6.470 -5.607 3.351
C 1.779 1.657 -2.147
C -8.595 -2.952 -3.706
C -4.036 1.077 -4.880
C 1.218 3.474 4.166
C -7.628 1.205 -3.689
C 1.470 1.634 -3.622
C 7.140 -5.285 2.053
C -4.694 3.370 -4.581
C -6.997 -1.201 -4.073
C 3.540 -4.314 5.314
C 5.539 -3.386 1.667
C -7.946 -0.255 -3.684
C 8.223 -6.053 1.646
C -6.266 1.615 -4.133
C -5.615 -0.792 -4.475
C 3.119 -3.244 4.530
C 1.145 4.226 1.713
C -2.620 3.421 2.471
H -10.526 -2.328 -3.003
H -0.389 1.570 2.278
H -3.296 0.333 -5.141
H 9.686 -6.389 0.123
H 0.358 4.978 1.741
H 1.875 4.596 0.986
H -1.608 3.671 2.784
H 3.672 1.324 0.365
H -6.581 -3.268 -4.391
H 1.743 3.698 5.092
H -3.219 4.330 2.577
H -3.441 1.475 2.730
H 1.290 2.407 3.987
H 3.454 -2.106 2.739
H 6.942 -3.171 -0.583
H -6.708 3.689 -3.900
H 2.860 1.788 -2.076
H 3.019 -4.548 6.232
H 2.880 4.010 2.936
H -4.452 4.423 -4.617
H -8.852 -4.003 -3.717
H 0.175 3.750 4.291
H -1.355 4.571 0.564
H -2.745 2.745 -5.228
H -9.934 0.080 -2.990
H 8.566 -6.854 2.286
H 3.457 1.964 2.422
H 1.556 0.672 -1.745
H 0.260 3.167 -1.909
H 1.815 2.528 -4.127
H 1.816 3.585 -1.195
H 1.912 0.775 -4.112
H 2.275 -2.642 4.837
H 2.861 -0.906 1.247
H -4.081 2.643 3.875
H -0.286 0.765 -0.060
H 4.967 -5.909 5.530
H -1.713 3.328 -0.651
H 8.865 -4.555 -1.320
H -2.454 1.987 4.083



Record 2
The following is a quantum chemistry calculation of a structure of composition C37H41Cl5FeGeN4Se, from OMol25.

* energy relative to the best compared isomer or geometry (same formula, charge and spin): 70.7 kJ/mol
* net charge: +1
* 2S+1: 6
* highest occupied orbital energy (alpha / beta): -0.3841 / -0.3915 hartree
* E_LUMO (alpha / beta): -3.2 / -3.8 eV

CARTESIAN COORDINATES (ANGSTROEM)
Se -1.518 0.797 0.542
Ge 1.175 -3.568 1.431
Fe -0.015 -1.089 -0.960
Cl 1.300 3.553 -3.696
Cl 4.324 3.519 -2.893
Cl 3.677 -1.298 -0.604
Cl -0.516 1.186 -2.807
Cl 5.486 1.050 -1.397
N -1.117 3.480 -0.372
N -1.926 -2.299 -0.890
N 0.724 2.625 0.415
N 0.284 -2.748 -2.330
C -0.134 4.445 -0.533
C 1.635 -4.116 -3.740
C 2.221 5.831 -0.693
C 2.064 -4.705 0.125
C 0.682 -1.747 0.886
C 1.024 6.399 -1.160
C 0.917 2.266 3.490
C 1.690 1.773 1.105
C -0.555 -3.791 -2.156
C 0.592 0.844 3.938
C -1.278 -6.104 -2.495
C -0.453 -4.478 2.007
C -3.818 -4.304 -0.463
C 1.598 0.077 -1.680
C -4.514 3.050 1.683
C -3.203 4.676 0.221
C 1.953 2.244 -2.795
C 1.339 -2.901 -3.108
C 2.969 0.061 -1.422
C 0.806 -5.187 -3.540
C -0.338 -5.041 -2.733
C -2.657 -4.591 -1.196
C -2.386 -5.889 -1.759
C 3.302 2.211 -2.459
C 1.040 3.894 -0.053
C -0.584 2.381 0.199
C 2.060 2.326 2.479
C -1.741 -3.555 -1.380
C 2.251 4.569 -0.130
C 1.156 1.179 -2.390
C -3.432 4.123 1.626
C -2.517 3.706 -0.738
C 3.816 1.110 -1.785
C -0.174 5.714 -1.092
C 2.354 -3.341 2.964
C -4.015 -3.042 0.019
C -3.042 -2.060 -0.219
H 3.062 -4.352 -0.112
H -4.902 -2.783 0.576
H 2.641 -4.306 3.378
H -2.608 5.591 0.275
H -4.720 2.762 2.713
H 1.239 0.788 1.190
H 2.904 1.741 2.850
H -5.445 3.417 1.249
H 2.416 3.353 2.371
H 1.192 2.865 4.360
H 1.015 -6.144 -4.001
H -0.159 0.845 4.724
H 1.499 -4.792 -0.799
H -2.491 3.731 2.027
H 1.483 0.352 4.330
H -4.162 4.955 -0.220
H 2.511 -4.190 -4.364
H -3.195 -1.054 0.138
H -0.121 -1.446 1.559
H 3.256 -2.806 2.671
........

-- Activity --
Work out how many lines further above have the word "the" in them; a number is enough, please.

-- Done --
1